• Period: to

    aboriginal history


    Aboriginal people raid stations or assault sheep and cattle because of the growing number of colonists occupied more and more land. Many times they used fire to set the bush on fire, destroy buildings and burn crops.

    The Richmond Hill Battle is considered to be the first recorded battle between Aboriginal people and the British.

    Bungaree is the first Aboriginal person to circumnavigate Australia as a member of Matthew Flinders historic journey of exploration (1802-03). Bungaree died in 1830 and was buried at Rose Bay, NSW

    Aborgiginal people begin to be moved onto mission stations where they can be taught Eauropean beliefs and used as cheap labour. Settlers try to controlw growth of the Aborgiginal population with a policy of absorption.

    Governer Macquarie opens a school for Aboriginal children in Paramatta called the Native Institution. the local Aboriginal people remove their children from the school after they realise that its aim is to distance the children from their families and communites. the school closed in 1820

    Macquarie announces a set of regulations controlling the movement of Aboriginal people. No Aboriginal person is to appear armed within a mile of any settlement and no more than six Aboriginal people are allowed to 'lurk or loiter near farms' Passports or certificates are issued to Aboriginal people "who conduct themselves in a suitable manner" to show they are officially accepted by the Europeans.
  • Martial Law

    The Martial Law is proclaimed in the Bathurst area when seven Europeans are killed by Aboriginal people and conflict with them is seen as a serious threat. Soldiers, settlers and stockmen frequently attack Aborgiginal People.
  • Battle of Pinjarra

    Governor Stirling leads a party of men to a site near present day Pinjarra on the Swan River and attacks 80 Aboriginal people. One of stirlings members dies and many Aboriginal people are killed. This became known as the 'Battle of Pinjarra'. It was an attempt to punish Aboriginal people south of Perth, after conflict with settles caused the death of a settler in April.
  • Slaughterhouse Creek

    Major Nunn's campaign. Mounted police, mostly European volunteers, set out in response to conflict on the Liverpool Plains, north central NSW. At Vinegar Hill, a sight on 'Slaughterhouse Creek', 60-70 Aboriginal people are reported killed.
  • Myall Creek Massacre

    The Myall Creek Massacre occurs, 12 heavily armed colonists rounded up and brutally kill 28 Aboriginal people from a group of 40- 50 gathered at Henry Dangars Station. The massacre was believed to be a payback for the killling of several hut keepers and two sheperds. Most of those killed were women and children and good relations existed between the Aboriginal people and European occupants at the station.
  • Pearling Industry

    The pearling industry in Western Australia begins with Aboriginal divers. After the employment of Aboriginal people is banned, Javansese, Timorese and later Japanese divers are used. Aboriginal people kill 19 settlers near Emerald, Queensland. About 170 Aboriginal people are killed in reprisal.
  • Protection and Control Policy

    The Victorian Aborigines Protection Act excludes 'half-castes' from their definition of an Aboriginal person. As a result nearly half the residents of the missions and reserves have to leave their homes. Western Australian Aborigines Protection Board is established.
  • Australian Cricket Team

    The first Australian Cricket Team to tour England leaves Australia for England; the team is all Aboriginal. some of the team find it difficult to adapt to the climate and have to return back home. one of the team members dies.
  • Kalkadoon Wars & Schooling

    In the early 1870's the first Aboriginal children are enrolled in the public schools in NSW. By 1880 there were 200 Aboriginal children at school in NSW. The kalkadoon Wars in Queensland last from 1870 to 1890. About 900 Kalkadoon people are killed as the fight to protect their land.
  • Truganini Dies.

    Truganini dies in Hobart aged 73. Against her wishes the Tasmanian Museum displays her bones. 100 years later members of the Tasmanian Aboriginal community cremate and scatter them onto the water. The Tasmanian government does not recognise the Aboriginal heritage of people of Aboriginal descent and claims the 'last Tasmanian Aboriginal person' has died. A faslehood many still believe today.
  • Cyclone Mahina

    Cyclone Mahina passes over Bathurst Bay, CApy York, far north Queensland, and kills 12 white men and mor than 100 Indigenous people who were working on pearl luggers. The novel 'The Devil's Eye' by Ian Townsend details the devastation which was 'Greater than Hurricane Katrina'
  • Federation

    The Commonwealth Constitution states 'in reckoning the numbers of people.. Aboriginal natives shall not be counted' It also states that the Commonwealth would legislate for any race except Aboriginal people. This leaves the power over Aboriginal Affairs with the states.
    Aboriginal people are excluded from the vote, pensions, employment in post offices, enlistment in armed foreces and maternity allowance.
  • Cherbourg

    The Queensland government establishes Cherbourg, an Aboriginal community, about 30km from Gympie.
  • NSW Aborigines Protection Act

    The NSW Aborigines Protection Act is introduced following crises in public schools. Aboriginal schools are established in NSW. Exclusion of Aboriginal children from public schools followed requests by the white community. In NSW there are 22 Aboriginal schools in 1910, 36 in 1920 and 40 in 1940.
  • South Australian Aboriginal Act

    The South Australian Aboriginal Act makes the Chief Protector the legal guardian of every Aboriginal and 'half-castes' by licensing needy persons to live on stations. The Aborigines Protection Board Act is passed, giving the Board 'legal' control over Aboriginal people on stations and reserves but not missions, in the Northern Territory.
  • World War 1

    Beginning of WW1. Approximatley 400 to 500 Aboriginal children continue to be removed from their families during the period 1914 to 1918, including children whose fathers are overseas at war.
  • Killing of a European

    Following the killing of a European in Dala, Western australia, 11 Aborigina people are murdered in police custody; no prosecutions follow.
  • Conniston Massacre

    Conniston Massacre in the Northern Territory. Europeans shoot 32 Aboriginal people after a European dingo trapper and a station owner are attacked by them.
    A court of inquiry rules the Europeans action 'justified'. Aboriginal peopla re refused legal aid by the federal government.
  • Assimilation Policy

    Aboriginal Welfare - Conference of Commonwealth and State Authorites called by the federal government, decides that the official policy for some Aboriginal people is assimilation policy. Aboriginal people of mixed descent are to be assimilated into white society whether they want to be or not, those not living tribally are to be educated and all others are to stay on reserves.
  • Day of Mourning

    150 years after European occupation the Aboriginal Progressive Association declares a Day of Mourning. An Aboriginal conference is held in Sydney. These are the firsrt of many Aboriginal protests against inequality, injustice, dispossession of land and protectionist policies.
  • Darwin Bombed

_Attached: data records_
/*
{
  "formula": "InAg3GeO4",
  "functional": "GGA-PBE",
  "state": "optimized geometry",
  "lattice": [[-1.997, -1.444, -4.599], [-4.598, -0.922, 2.286], [-1.445, 4.928, -0.920]],
  "species": ["Ag", "Ag", "Ag", "Ge", "In", "O", "O", "O", "O"],
  "frac_coords": [[0.500, 0.000, 0.000], [0.000, 0.500, 0.000], [0.000, 0.000, 0.500], [0.000, 0.000, 0.000], [0.500, 0.500, 0.500], [0.733, 0.267, 0.267], [0.267, 0.733, 0.267], [0.267, 0.267, 0.733], [0.733, 0.733, 0.733]],
  "space_group": "P-43m (215)",
  "energy_ev_per_atom": -4.326
}

***

{
  "formula": "Y2Er3Lu2Ni2Te2",
  "functional": "GGA-PBE",
  "state": "optimized geometry",
  "lattice": [[1.682, -3.239, 8.507], [4.345, 7.719, -2.688], [-6.983, -5.056, 3.371]],
  "species": ["Er", "Er", "Er", "Lu", "Lu", "Ni", "Ni", "Te", "Te", "Y", "Y"],
  "frac_coords": [[0.263, 0.896, 0.368], [0.976, 0.476, 0.500], [0.528, 0.896, 0.632], [0.894, 0.748, 0.147], [0.601, 0.748, 0.853], [0.664, 0.402, 0.262], [0.140, 0.402, 0.738], [0.242, 0.242, 0.000], [0.641, 0.141, 0.500], [0.283, 0.098, 0.185], [0.913, 0.098, 0.815]],
  "e_above_lowest_polymorph_mev_per_atom": 21,
  "space_group": "Imm2 (44)",
  "total_magnetization_mub_per_cell": 0.011,
  "energy_ev_per_atom": -5.492
}

***

{
  "formula": "HfIn2Ge",
  "functional": "GGA-PBE",
  "state": "optimized geometry",
  "lattice": [[1.836, -1.414, 4.462], [1.763, 3.453, 3.201], [-2.538, 1.053, 4.210]],
  "species": ["Ge", "Hf", "In", "In"],
  "frac_coords": [[0.750, 0.750, 0.750], [0.500, 0.500, 0.500], [0.000, 0.000, 0.000], [0.250, 0.250, 0.250]],
  "space_group": "F-43m (216)",
  "total_magnetization_mub_per_cell": 0.004,
  "energy_ev_per_atom": -4.764
}

***

{
  "formula": "TbTm2PdPt2Pb3",
  "functional": "GGA-PBE",
  "state": "optimized geometry",
  "lattice": [[-3.255, -0.163, -2.161], [1.449, -7.456, -1.620], [-4.230, 1.901, 6.229]],
  "species": ["Pb", "Pb", "Pb", "Pd", "Pt", "Pt", "Tb", "Tm", "Tm"],
  "frac_coords": [[0.500, 0.263, 0.000], [0.500, 0.000, 0.263], [0.500, 0.737, 0.737], [0.000, 0.997, 0.997], [0.500, 0.671, 0.333], [0.500, 0.333, 0.671], [0.000, 0.406, 0.406], [0.000, 0.593, 0.000], [0.000, 0.000, 0.593]],
  "space_group": "Amm2 (38)",
  "total_magnetization_mub_per_cell": 0.003,
  "energy_ev_per_atom": -5.472
}

***

{
  "formula": "YErAu2O4",
  "functional": "GGA-PBE",
  "state": "optimized geometry",
  "lattice": [[3.511, 0.000, 0.000], [-1.756, 3.041, 0.000], [0.000, 0.000, 12.219]],
  "species": ["Au", "Au", "Er", "O", "O", "O", "O", "Y"],
  "frac_coords": [[0.333, 0.667, 0.251], [0.667, 0.333, 0.749], [0.000, 0.000, 0.500], [0.333, 0.667, 0.084], [0.333, 0.667, 0.419], [0.667, 0.333, 0.581], [0.667, 0.333, 0.916], [0.000, 0.000, 0.000]],
  "space_group": "P-3m1 (164)",
  "total_magnetization_mub_per_cell": 0.002,
  "energy_ev_per_atom": -6.917
}

***

{
  "formula": "PmHoHg",
  "functional": "GGA-PBE",
  "state": "optimized geometry",
  "lattice": [[0.209, -4.944, -1.400], [-1.453, -3.669, 3.298], [-4.345, -2.625, -0.825]],
*/
_The page goes on_

    Darwin is bombed by the Japansese. In Arnhem Land, Aboriginal people make up special reconnaissance unit in defence of Australia. Northern Territory Aboriginal missions are evacuated. Many Aboriginal people evacuated after the bombing are trasferred to 'control camps' in Victoria, SOuth Australia or New South Whales and some never return. Restrictions are placed on Aborgiginal movement, especially of women.
  • Right to Enrol and Vote

    Aboriginal people are given the right to enrol and vote at federal elections provided they are entitled to enrol for state elections or have served in the armed forces.
  • Commonwealth Electoral Act

    The Commonwealth Electoral Act is amended to give franchise to all Aboriginal people, extending the right to vote to Aboriginal people in Western Australia, Queensland and the Northern Territory.
    The Aboriginal Affairs Act in South Australia reconstitues the Aborigines Protection Board and SOuth Australian Department of Aboriginal Affairs. The act also limits mining on reserves by non-Indigenous people.
  • Integration Policy

    Integration policy is introduced, supposedly to give Aboriginal people more control over their lives and society.
    Northern Territory patrol officers 'bring in' the last group of Aboriginal people. the pintubi people, living independently in the desert. they are relocated to papunya and yuendumu, about 300 kms north-west of Alice Springs.
  • Cathy Freeman

    Cathy Freeman wins gold in the women's 400m at the Sydney 2000 olympics. the openeing and closing ceremonies celebrated indigenous cultrual identity and history and provided some deft political comment on contempary indigenous issues.
  • Shared Responsibility Policy

    The government starts using Shared Responsibility Agreements, voluntary written agreements, which set out what outcomes are to be achived, and the agreed roles and responsibilites of governments and aboriginal communites in relation to particular projects or activites.
    The commonwealth government establishes a memorial to the stilen generation at reconcilliation place in canberra.
  • Boxing

    Boxer Danny Green loses to Aboriginal man Anthony Mundine by points decision over 12 rounds. The fight remains one of the most watched bouts in Australian boxing history.
  • Indigenous Implementation Board

    The Western Australian government announces the formaton of the Indigenous Implementation Board to improve social and economic outcomes for Aboriginals. The nine-member board aims to 'enhance indigenous involvment in local decision-making and strengthen corporate and non-government contribution to indigenous affairs.
  • Flooding

    Australia experiences its Worst Flooding on Recod affection Queensland, Victoria, Western Australia and Tasmania. the floods claim the life of at least one Aboriginal person, delay land claim hearings and put further pressure on people housing waiting lists. many dont accept help or play down their loss, Aboriginal musicina Troy Cassar-Daley loses his farm near Brisbane.
  • Aboriginal Tent Embassy

    The Aboriginal Tent Embassy in Canberra celebrates it's 40th anniversary. An incident where there Prime Minister was distrubed by around 50 protesters outside a restaraunt makes security guards drag her hurriedly into a car. she loses a shoe, gaining her the nickname'Gingerella"